Environmental trust turns 20 – Community invited to birthday celebrations

Kākā at Glenfern, photo by Stuart Farquhar

The island’s environmental trust turns 20 this month and friends and supporters are invited to celebrate its successes at a birthday party at Glenfern Sanctuary.

The Aotea Great Barrier Environmental Trust (formerly the Great Barrier Island Charitable Trust, then the Great Barrier Island Environment Trust) has been a strong voice for conservation since formation, its Environmental News (available at https://www.gbiet.org/environmental-news-archive) an important record of the island’s biodiversity value and issues.

“There’s nothing of conservation significance that’s happened on the island that it hasn’t been covered since 2002,” says current AGBET chair Kate Waterhouse; a history that includes advocacy for marine reserves, world heritage and conservation park designation, rat eradication on Rakitū, the plight of threatened fauna and flora, a significant State of the Environment Report in 2010, the transfer of Glenfern into public ownership as a regional park, and always the case for greater recognition and investment by central and local government.

It is easy for visitors who see a mohu-pererū/ banded rail on the roadside, kākā in the pohutukawa or pāteke in a creek, to assume all is well on an island without stoats or possums, but the trust conservatively estimates there are a thousand feral cats and a quarter of a million rats in Aotea’s forests at any one time, killing 80,000 birds annually.

Founding trustee John Ogden says when the trust was formed, he expected there wouldn’t be a rat left on the island in 20 years. “It was so bleedingly obvious, the difference this would make to the birdlife and the forest.”

But John – a retired associate professor – admits now he is an ecologist not a social scientist and finding a path to share the trust’s vision of a rat and cat free island and convince the community and government that it is feasible has been a difficult road at times.

Kate Waterhouse says the trust’s purpose has remained the same – “to create understanding of the value of what we are trying to look after” – but “the context has completely changed.”

“The focus is no longer on the how, but the why and the who.”

Fittingly, the anniversary will see the launch of a new report, the Birds of Aotea with John Ogden as its lead author.

A tākoketai/ black petrel graces the cover of Birds of Aotea. Image Shaun Lee.

The report shows 11 species have become locally extinct since the first list of birds was made by Frederick Hutton in 1867, including the forest birds kōkako, hihi/stitchbird, pōpokotea/whitehead, kākāriki/yellow-crowned parakeet, and tīeke/ saddleback. Eighteen introduced species have arrived on the island over the same period, mainly taking advantage of farmed and settled areas.

Others close to disappearing include the titipounamu/rifleman, miromiro/tomtit, kākāriki/red-crowned parakeet and the reintroduced toutouwai/North Island robin. The cloud forest of Hirakimatā is particularly important for these species, as well as for the largest colony of takoketai/ black petrels – otherwise only found on Hauturu/ Little Barrier – and a small population of tītī / Cook’s petrels.

Significant wetlands at Whangapoua and Kaitoke support populations of pārera/ grey duck, matuku-hūrepo/Australasian bittern, pūweto/spotless crake, moho pererū and mātātā/fernbird, all nationally in decline. Of particular concern is the pateke/ brown teal; its island population slumping from 1200 birds in 1996 to 400 in 2021. While feral cats and rats are likely to be a factor, the report says further research is needed.
Birds of Aotea reiterates the importance of the island for seabirds, with relict populations of tākoketai and tītī, ōi/ grey-faced petrel, pakahā/ fluttering shearwater and kuaka/common diving petrel.

Being central to the wider Hauraki Gulf region – which with 27 has the highest number of breeding seabird species in the world – Aotea’s potential for restoration has been internationally recognised. Rakitū is an important beginning, since rats were successfully removed in 2018, with opportunity for both reintroductions and natural recolonisation. However, the report suggests a restoration and management plan is urgently needed for the island.

Beaches, estuaries and rocky fringes are important places for tūturiwhatu /New Zealand dotterel and tōrea/variable oyster catcher, waders, migratory birds like the kuaka/bar-tailed godwit, kororā/little penguins, gulls, shags and the Hauraki Gulf’s largest colony of takapū/ gannets.

AGBET’s new poster shows the richness of Aotea’s bird life, www.gbiet.org/shop-merch.

Kate Waterhouse says the range, complexity and continuum of habitats – from maunga to moana – creates a richness and biodiversity of biota that is often missed in rankings based on individual species and ecosystem types, used to guide national funding priorities. “DOC manages 60 percent of the island but has been massively under-investing for years,” a situation she hopes will change under the proposed National Policy Statement on Indigenous Biodiversity.

The Birds of Aotea report says 23 years of predator control and dedicated monitoring at Windy Hill have proven beyond doubt the devastating impacts of rats and the huge difference sustained predator control makes to the number of tūī, kererū and kākā, lizards and wētā.

While forest is regenerating at pace around the island, high numbers of rats mean fruit bearing trees like taraire, pūriri and kohekohe are not part of this succession. This also effects its resilience to withstand forecast climate change, with the presence of invasive species like pine making it increasingly prone to fire.

Judy Gilbert, one of the trust’s founding trustees and long-time manager of the Windy Hill sanctuary – which now covers 800ha of private land with 18 owners – is surprised that the tools to control predators are essentially the same as when she started her work, despite significant investment in research and development. Now approaching her 70s, Judy sees the island pest management mahi being taken up by new coalitions of landowners, community groups and agencies.

School children release robins at Windy Hill with Judy Gilbert in 2004. Locally extinct toutouwai were reintroduced to Glenfern and Windy Hill sanctuaries in 2004, 2009, and 2012 and have established a breeding population on Hirakimatā. High rat numbers have prevented further translocations of lost birds back to the island. Photo by John Ogden.

The trust has helped spawn a raft of new initiatives; the Aotea Trap Library which now loans out over 3,000 traps in a community of 435 households, the Ōruawharo Medlands Ecovision group which hosts weekly working bees and is currently working to expand its efforts to join up with Windy Hill, and the annual Aotea Bird Count, helped by grants from the Aotea Local Board, Auckland Council, Lotteries Commission, Foundation North and DOC.

And perhaps most significantly, the Tū Mai Taonga project – championed by both the Aotea Conservation Park Advisory Committee and the environmental trust and now being led by Ngāti Rehua Ngātiwai ki Aotea – which has begun removing feral cats from Te Paparahi and rats from smaller offshore islands. Backed by DOC, Auckland Council, Predator Free 2050 Limited and informed by tikanga and learnings from other large landscape projects, it is part of a long-term, integrated effort to make the island predator-free.

Members of Ōruawharo Medlands Ecovision on a recent visit to Awana. Photo Lotte McIntyre.

Kate Waterhouse is optimistic that in another 20 years we will have worked out how to live sustainably on Aotea, helped by the strong focus on nature in schools and kura.
“I’d like to think we will hear kōkako and the calls of seabirds overhead at night, see the flashes of pink and blue shoals of maomao in the sea and the mushrooming headings of strong trees in the forest, and perhaps some of the aunties will be saying ‘yes, we are back to the old ways’”.

The birthday party is on Saturday February 11 at Glenfern Sanctuary from 1-5 pm, with Dame Juliet Gerrard, past and present trustees, the island’s kaitiaki and conservation community. Anyone interested to find out more about the Aotea Great Barrier Environmental Trust’s legacy and vision is invited.

_Between two parts of the entry: data records_
Computed, not measured: a geometry-optimized SrCuH6O5 structure at the GGA-PBEsol level of DFT.

CIF file:
```
data_SrCuH6O5
_space_group_name_H-M_alt 'P 1 2/c 1'
_space_group_IT_number 13
_cell_length_a 5.266
_cell_length_b 6.147
_cell_length_c 7.885
_cell_angle_alpha 90.00
_cell_angle_beta 107.86
_cell_angle_gamma 90.00
loop_
_space_group_symop_operation_xyz
'x,y,z'
'-x,-y,-z'
'-x,y,-z+1/2'
'x,-y,z+1/2'
loop_
_atom_site_label
_atom_site_fract_x
_atom_site_fract_y
_atom_site_fract_z
Sr1 0.000 0.045 0.250
Cu1 0.000 0.500 0.000
H1 0.353 0.233 0.033
H2 0.378 0.457 0.396
H3 0.432 0.217 0.642
O1 0.158 0.220 0.006
O2 0.291 0.344 0.446
O3 0.500 0.120 0.750
```

Output
The total energy comes out at -137.7 eV/cell. Its volume is 242.94 Å³ per cell.


Computed, not measured: an optimized crystal structure of Pm3Er3Tm4 at the PBE-GGA level of DFT.

Structure (extended XYZ):
```
10
Lattice="3.647 0.000 0.000 0.000 6.601 6.629 0.000 -6.601 6.629" Properties=species:S:1:pos:R:3 pbc="T T T"
Pm 0.000 0.000 0.000
Pm 0.000 -2.298 8.919
Pm 0.000 2.298 8.919
Er 0.000 0.000 4.601
Er 1.823 -3.251 5.585
Er 1.823 3.251 5.585
Tm 1.823 -1.638 2.326
Tm 1.823 1.638 2.326
Tm 1.823 0.000 7.254
Tm 1.823 0.000 10.580
```

Calculated values
For the total energy, the calculation gives -44.9 eV for the cell shown. The calculation puts the density of states at the Fermi level at 0.74 states/eV/atom.

RSVP to contact.gbiet@gmail.com.

Written by Tim Higham, with the support of Destination Great Barrier Island.